Learning Two-View Correspondences

1. Introduction

  1. Until recently, most of geometric matching pipeline focus on learning local feature detectors and descriptors.

  2. Previous works exploited PointNet-like architecture and Context Normalization(PointCN)


    • apply MLP on each point individually and cannot capture the local context.

**Here the text breaks off for crystal structures:**
(1)
Cu2Ag4F9: calculated powder X-ray diffraction pattern (copper Kα), based on a DFT-relaxed cell (PBE, Alexandria).
Lines closer than 0.1° are merged.

Largest 10 diffraction maxima, by angle, 10° ≤ 2θ ≤ 90°:
Position (°2θ)	intensity	(hkl)
21.19	518	0 1 2
29.21	493	0 1 -4
29.75	958	1 0 4
30.52	1000	1 1 0
31.09	488	2 -1 0
43.16	540	2 -2 4
47.30	285	1 -2 6
48.01	331	-1 2 6
48.05	274	2 -1 6
54.96	280	3 -3 0

```
data_Cu2Ag4F9
_chemical_formula_sum 'Cu4 Ag8 F18'
_symmetry_space_group_name_H-M 'P -1'
_symmetry_Int_Tables_number 2
_symmetry_space_group_name_Hall '-P 1'
_cell_length_a 5.7533
_cell_length_b 5.8580
_cell_length_c 15.0927
_cell_angle_alpha 90.81
_cell_angle_beta 90.01
_cell_angle_gamma 119.37
loop_
_atom_site_label
_atom_site_fract_x
_atom_site_fract_y
_atom_site_fract_z
Cu1 0.0237 0.4878 0.1525
Cu2 0.0372 0.5135 0.3476
Ag1 0.3109 0.1726 0.8128
Ag2 0.3238 0.1509 0.0177
Ag3 0.3270 0.1503 0.5179
Ag4 0.3634 0.1746 0.3129
F1 0.0080 0.7739 0.0965
F2 0.0459 0.8241 0.4134
F3 0.0514 0.2426 0.2362
F4 0.2152 0.4977 0.7500
F5 0.2646 0.7728 0.5968
F6 0.2797 0.8247 0.9128
F7 0.3106 0.4851 0.4164
F8 0.3114 0.7602 0.2648
F9 0.3246 0.5149 0.0839
```



(2)
LaPr5Hg: calculated powder X-ray diffraction pattern (copper Kα), based on a DFT-relaxed cell (PBE, Alexandria).
Lines closer than 0.1° are merged.

Largest 10 diffraction maxima, by angle, 10° ≤ 2θ ≤ 90°:
Position (°2θ)	intensity	(hkl)
27.73	635	1 1 3
28.80	778	2 2 -1
29.02	505	2 2 0
29.85	739	0 2 3
31.48	1000	2 0 -4
31.68	428	3 1 -1
32.39	418	3 1 0
32.68	721	1 3 0
34.26	306	1 1 4
42.46	386	1 3 -4

```
data_LaPr5Hg
_chemical_formula_sum 'La4 Pr20 Hg4'
_symmetry_space_group_name_H-M 'C 1 2/c 1'
_symmetry_Int_Tables_number 15
_symmetry_space_group_name_Hall '-C 2yc'
_cell_length_a 8.9654
_cell_length_b 8.6563
_cell_length_c 12.7328
_cell_angle_alpha 90.00
_cell_angle_beta 102.55
_cell_angle_gamma 90.00
loop_
_atom_site_label
_atom_site_fract_x
_atom_site_fract_y
_atom_site_fract_z
La1 0.0000 0.0293 0.2500
Pr1 0.0000 0.3623 0.7500
Pr2 0.1468 0.3628 0.0655
Pr3 0.2162 0.3253 0.3660
Hg1 0.0000 0.0000 0.0000
```



(3)
Dy5Y8Mg: calculated powder X-ray diffraction pattern (copper Kα), based on a DFT-relaxed cell (PBE, Alexandria).
Lines closer than 0.1° are merged.

Largest 10 diffraction maxima, by angle, 10° ≤ 2θ ≤ 90°:
Position (°2θ)	intensity	(hkl)
13.04	222	1 1 0
28.40	353	1 0 3
29.31	536	3 0 1
29.42	710	3 1 0
31.89	218	2 2 2
34.10	1000	1 2 3
34.59	266	1 3 2
34.88	394	3 2 1
55.24	353	0 0 6
86.89	192	8 1 3

```
data_Dy5Y8Mg
_chemical_formula_sum 'Dy10 Y16 Mg2'
_symmetry_space_group_name_H-M 'I -4'
_symmetry_Int_Tables_number 82
_symmetry_space_group_name_Hall 'I -4'
_cell_length_a 9.6002
_cell_length_b 9.6002
_cell_length_c 9.9762
_cell_angle_alpha 90.00
_cell_angle_beta 90.00
_cell_angle_gamma 90.00
loop_
_atom_site_label
_atom_site_fract_x
_atom_site_fract_y
_atom_site_fract_z
Dy1 0.0000 0.0000 0.0000
Dy2 0.1037 0.2087 0.5785
Y1 0.0692 0.3252 0.9075
Y2 0.0860 0.1820 0.2460
Mg1 0.0000 0.5000 0.2500
```

      邻居像素的也有类似的运动\rightarrow 有利于outlier rejection

    • Context Normalization编码全局信息,忽略了不同点之间的特性

    One of the challenges in mitigating the limitations above:

    • sparse matches have no well-defined neighbors
    • the relation are unordered and have no stable relations to be captured.
  3. draw inspiration from the hierarchical representations of GNN

    • generalize DiffPool: permutation-invariant and to capture the local context
  4. threefold contributions:

    • DiffPool and DiffUnpool layers to capture the local context of unordered sparse correspondences in a learnable manner
    • Order-Aware Filtering block: exploits the complex global context of sparse correspondences.
    • accuracy\uparrow

2.2 Outlier Rejection

  1. putative correspondences established by handcrafted or learned features contain many outliers.

  2. RANSAC: most popular outlier rejection method

    PointCN: reformulated the outlier reection task as an inlier/outlier clasfication problem and an essential matrix regression problem

    Context Normalization: can drastically improve the performance.

  3. Geometric Deep Learning deals with data on non-Euclidean domains.

    和点云不同的是,sparse correspondences have no well-defined neighbors.

3. Order-Aware Network

3.1 Formulation

GOAL: Given image pairs, remove outliers

  • using features to find nearest neighbors in the other image.
  • outlier rejection
  • an essential matrix can be recovered


  • C=[c1;c2;;cN]RN×4,ci=(x1i,y1i,x2i,y2i)\mathbf{C}=\left[c_{1} ; c_{2} ; \ldots ; c_{N}\right] \in \mathcal{R}^{N \times 4}, c_{i}=\left(x_{1}^{i}, y_{1}^{i}, x_{2}^{i}, y_{2}^{i}\right)

    • CiC_i is a correspondence and (x1i,y1i),(x2i,y2i)(x_1^i, y_1^i),(x_2^i, y_2^i) are the coordinates of keypoints in these two images.


  • z=fϕ(C)w=tanh(ReLU(z))E^=g(w,C)\begin{gathered} \mathbf{z}=f_{\phi}(\mathbf{C}) \\ \mathbf{w}=\tanh (\operatorname{ReLU}(\mathbf{z})) \\ \hat{\mathbf{E}}=g(\mathbf{w}, \mathbf{C}) \end{gathered}

    • Z is the logit values for classfication
    • fϕ()f_{\phi}(\cdot) is a permutation-equivariant neural network and ϕ\phi denotes the network parameters.
    • w is the weights of correspondences.

3.2 Differentiable Pooling Layer

The unordered input correspondences require network fϕ()f_{\phi}(\cdot) to be permutation-equivariant, so PointNet-Like architecture was used.

  • However, PointNet-like architecture has the drawback in capturing the local context because there is no direct interaction between points.

Pooling Layer

  • Rather than employing a hard assignment for each node, the DiffPool layer learns a soft assignment matrix.

    SpoolRN×MS_{pool} \in \textit{R}^{N\times M}, Diff-Pool maps N nodes to M clusters:

_Unrelated to this text: materials data_
'''
Entry 1:
# NaMnAsO4
Calculated X-ray diffraction stick pattern, λ = 1.5418 Å (Cu Kα). Input: DFT lattice parameters and positions (PBE+U).
Lines closer than 0.1° are merged.

Most intense lines, 2θ from 10° to 80°, in order of falling intensity:
2theta, I_rel
33.0, 100
33.5, 80
21.3, 66
18.8, 58
27.5, 48
52.2, 48
29.9, 46
47.6, 21
37.9, 20
60.4, 18

Crystal structure
a = 10.9325 Å, b = 6.4790 Å, c = 5.2451 Å
α = 90.00°, β = 90.00°, γ = 90.00°
Positions (direct):
Na 0.0000 0.0000 0.0000
Na 0.0000 0.5000 0.0000
Na 0.5000 0.0000 0.5000
Na 0.5000 0.5000 0.5000
Mn 0.2187 0.2500 0.4939
Mn 0.2813 0.7500 0.9939
Mn 0.7187 0.2500 0.0061
Mn 0.7813 0.7500 0.5061
As 0.1048 0.7500 0.4452
As 0.3952 0.2500 0.9452
As 0.6048 0.7500 0.0548
As 0.8952 0.2500 0.5548
O 0.0442 0.2500 0.6673
O 0.1122 0.7500 0.7716
O 0.1779 0.5430 0.2978
O 0.1779 0.9570 0.2978
O 0.3221 0.0430 0.7978
O 0.3221 0.4570 0.7978
O 0.3878 0.2500 0.2716
O 0.4558 0.7500 0.1673
O 0.5442 0.2500 0.8327
O 0.6122 0.7500 0.7284
O 0.6779 0.5430 0.2022
O 0.6779 0.9570 0.2022
O 0.8221 0.0430 0.7022
O 0.8221 0.4570 0.7022
O 0.8878 0.2500 0.2284
O 0.9558 0.7500 0.3327

***

Entry 2:
# Li2CeSmMo4O16
Calculated X-ray diffraction stick pattern, λ = 1.5418 Å (Cu Kα). Input: DFT lattice parameters and positions (PBE+U).
Lines closer than 0.1° are merged.

Most intense lines, 2θ from 10° to 80°, in order of falling intensity:
2theta, I_rel
28.5, 100
46.7, 31
18.4, 29
57.2, 27
33.8, 18
15.5, 17
54.0, 16
48.5, 13
23.7, 13
75.5, 12

Crystal structure
a = 5.3077 Å, b = 5.3077 Å, c = 11.4254 Å
α = 90.00°, β = 90.00°, γ = 90.00°
Positions (direct):
Li 0.0000 0.5000 0.2503
Li 0.5000 0.0000 0.7497
Ce 0.0000 0.0000 0.0000
Sm 0.5000 0.5000 0.5000
Mo 0.0000 0.0000 0.5000
Mo 0.0000 0.5000 0.7459
Mo 0.5000 0.0000 0.2541
Mo 0.5000 0.5000 0.0000
O 0.1430 0.2588 0.8351
O 0.1548 0.7565 0.4159
O 0.2435 0.1548 0.5841
O 0.2476 0.6476 0.6610
O 0.2514 0.3539 0.0841
O 0.2588 0.8570 0.1649
O 0.3524 0.2476 0.3390
O 0.3539 0.7486 0.9159
O 0.6461 0.2514 0.9159
O 0.6476 0.7524 0.3390
O 0.7412 0.1430 0.1649
O 0.7486 0.6461 0.0841
O 0.7524 0.3524 0.6610
O 0.7565 0.8452 0.5841
O 0.8452 0.2435 0.4159
O 0.8570 0.7412 0.8351

***

Entry 3:
# V3O2F6
Calculated X-ray diffraction stick pattern, λ = 1.5418 Å (Cu Kα). Input: DFT lattice parameters and positions (PBE+U).
Lines closer than 0.1° are merged.

Most intense lines, 2θ from 10° to 80°, in order of falling intensity:
2theta, I_rel
23.8, 100
25.2, 68
30.5, 68
29.7, 61
29.2, 59
18.9, 57
30.7, 57
39.3, 52
52.3, 51
40.1, 48

Crystal structure
a = 5.1988 Å, b = 7.1995 Å, c = 7.6312 Å
α = 101.34°, β = 90.90°, γ = 90.33°
Positions (direct):
V 0.2203 0.3392 0.1825
V 0.2407 0.3236 0.6878
V 0.2632 0.8289 0.6759
V 0.7368 0.1711 0.3241
V 0.7593 0.6764 0.3122
V 0.7797 0.6608 0.8175
O 0.1030 0.5771 0.7001
O 0.3489 0.0583 0.6744
O 0.6511 0.9417 0.3256
O 0.8970 0.4229 0.2999
F 0.0532 0.0917 0.1916
F 0.0820 0.7866 0.4422
F 0.1060 0.3222 0.9316
F 0.4097 0.3102 0.4329
F 0.4239 0.5725 0.1999
F 0.4632 0.8067 0.8917
'''

    Xl+1=Spool TXl\mathbf{X}_{l+1}=\mathbf{S}_{\text {pool }}^{T} \mathbf{X}_{l}​

Spool=softmax(hpool(Xl))S_{pool} = softmax(h_{pool}(X_l))

  • hpool()h_{pool}(\cdot) is one PointCN block here.
  • softmax layer is applied to normalize the assignment matrix along the row dimension.


DiffPool is permutation-invariance:

S~pool =softmax(hpool (PXl))=PSpool \tilde{\mathbf{S}}_{\text {pool }}=\operatorname{softmax}\left(h_{\text {pool }}\left(\mathbf{P X}_{l}\right)\right)=\mathbf{P} \mathbf{S}_{\text {pool }}

  • P{0,1}N×NP \in \{0, 1\}^{N\times N}
  • Since both hpool()h_{pool}(\cdot) and softmax are permutation-equivariant functions, so

Xl+1=S~pool TPXl=Spool TPTPXl=Spool TXl\mathbf{X}_{l+1}=\tilde{\mathbf{S}}_{\text {pool }}^{T} \mathbf{P X}_{l}=\mathbf{S}_{\text {pool }}^{T} \mathbf{P}^{T} \mathbf{P X}_{l}=\mathbf{S}_{\text {pool }}^{T} \mathbf{X}_{l}

once the network is learned, no mater how the input are permuted, they will be mapped into clusters in a particular learned canonical order

3.3 Differentiable Unpooling Layer

  1. to upsample the coarse represention and build a hierarchical architecture.


    Sunpool=softmax(hunpool(Xl+1))S_{unpool} = softmax(h_{unpool}(X_{l+1}^{'}))

    • 3(a) cannot recover the original spatial order of XlX_l​​ because of permutation-invariant operation, and SunpoolS_{unpool} only utilizes information at level l+1l+1

    • 3(b) advise it as an Order-Aware DiffUnpool layer

      Sunpool=softmax(hunpool(Xl))S_{unpool} = softmax(h_{unpool}(X_l))

      Xl=SunpoolXl+1X_l^{'} = S_{unpool} X_{l+1}^{'}


3.4 Order-Aware Filtering Block

Here we propose a simple but more effective operation than PointCN block, which is called Spatial Correlation layer to explicitly model relation between different nodes and capture the complex global context.

Order-Aware Filtering Block

  • the weights are shared along the channel dimension

  • the spatial correlation layer is orthogonal to PointCN, since one is along the spatial dimension and the other is along the channel dimension.

  • Spatial Correlation layer is implemented by tranposing the spatial and channel dimensions of features.

    After the weight-sharing perceptrons layer, we transpose features back.

  • Note that before the DiffPool layer, we cannot apply the Spatial Correlation layer on the feature maps as the input data is unordered and there is no stable spatial relation to be captured.